[File]
/*
*A*
DFT (wB97M-V/def2-TZVPD) results for a 2-piece molecular cluster, C3H12NS overall.

HOMO level: -12.9 eV
Total charge: +1
Orbital gap: 9.16 eV
Spin multiplicity: 1

CARTESIAN COORDINATES (ANGSTROEM)
1 C -2.40 0.51 -2.50
2 N -2.52 0.38 -0.99
3 H -3.17 -0.11 -2.97
4 H -2.60 1.55 -2.77
5 H -1.42 0.18 -2.74
6 H -3.40 0.42 -0.45
7 H -1.87 1.07 -0.59
8 H -2.24 -0.57 -0.70
9 C 2.58 -1.24 1.53
10 C 1.95 0.17 1.47
11 S 0.47 0.07 0.31
12 H 2.74 -1.37 0.40
13 H 1.86 -1.92 1.98
14 H 3.50 -1.23 2.09
15 H 1.67 0.35 2.53
16 H 2.47 1.04 1.05
17 H -0.43 0.54 1.21

*B*
DFT (wB97M-V/def2-TZVPD) results for a 2-piece molecular cluster, C3H12NS overall.

HOMO level: -12.0 eV
Total charge: +1
Orbital gap: 8.39 eV
Spin multiplicity: 1

CARTESIAN COORDINATES (ANGSTROEM)
1 C 1.05 0.50 2.78
2 S -0.54 1.02 2.01
3 H 1.40 -0.37 2.24
4 H 1.80 1.31 2.65
5 H 0.91 0.30 3.82
6 H -0.67 2.16 2.75
7 C -0.49 -0.80 -3.43
8 N 0.03 -1.37 -2.16
9 C 0.34 -0.35 -1.10
10 H -0.68 -1.62 -4.13
11 H -1.44 -0.24 -3.22
12 H 0.26 -0.14 -3.83
13 H 0.91 -1.89 -2.37
14 H -0.64 -2.03 -1.80
15 H 1.08 0.34 -1.49
16 H 0.72 -0.89 -0.25
17 H -0.60 0.20 -0.94

It is *B* that is most stable; the runner-up trails by 0.464 eV.

*A*
DFT (wB97M-V/def2-TZVPD) results for one molecule with the formula C3H7PS2.

HOMO level: -8.5 eV
Orbital gap: 6.84 eV
Spin multiplicity: 1

CARTESIAN COORDINATES (ANGSTROEM)
1 C -0.88 0.28 -0.54
2 C 1.31 1.67 0.39
3 C -1.86 -0.64 -0.34
4 P 0.82 -0.02 -0.15
5 S 1.94 -1.51 0.75
6 S -1.64 -2.50 -0.27
7 H 0.81 1.67 1.27
8 H 1.02 2.42 -0.21
9 H 2.39 1.77 0.54
10 H -2.72 -0.29 -1.06
11 H -1.94 -0.38 0.81
12 H 1.24 -0.17 -1.51
13 H -0.50 -2.31 0.33

*B*
DFT (wB97M-V/def2-TZVPD) results for a 2-piece molecular cluster, C3H7PS2 overall.

HOMO level (alpha / beta): -8.8 / -7.2 eV
Orbital gap (alpha / beta): 8.10 / 7.36 eV
Spin multiplicity: 1

CARTESIAN COORDINATES (ANGSTROEM)
1 C 0.13 1.15 1.57
2 C 0.28 -0.17 2.29
3 C -0.77 -0.82 -3.46
4 P 1.32 -0.55 -0.42
5 S -0.25 0.84 -0.13
6 S 1.62 -1.12 1.59
7 H -0.83 1.74 1.99
8 H 1.06 1.75 1.56
9 H 0.52 0.08 3.36
10 H -0.75 -0.66 1.98
11 H -1.60 -1.50 -3.56
12 H -0.24 -0.50 -2.54
13 H -0.50 -0.26 -4.23

It is *B* that is most stable; the runner-up trails by 1.607 eV.

----------

Entry 1:
Formula: CH15N2O5
Source: OMol25
Level of theory: ωB97M-V/def2-TZVPD

Each line ends with the Löwdin charge.
CARTESIAN COORDINATES (ANGSTROEM)
N 0.858 0.032 1.149  0.0229
C 0.742 1.287 0.556  -0.3485
N 0.310 1.582 -0.702  0.0284
H 0.452 -0.829 0.807  0.0259
H 1.461 -0.105 1.932  0.0578
H 1.123 2.064 1.208  0.0652
H 0.310 2.547 -0.979  0.0430
H -0.030 0.957 -1.404  0.0445
H 1.014 -1.158 -3.365  0.0608
H -0.593 -1.170 -3.507  0.0445
O 0.156 -1.200 -2.897  -0.0645
H 0.571 3.295 3.433  0.0147
H -0.167 2.495 4.497  0.0245
O -0.006 2.560 3.562  -0.0456
H -1.230 -5.861 0.521  0.0411
H -2.464 -6.455 -0.262  0.0232
O -1.556 -6.173 -0.339  -0.0655
H -1.246 4.961 -0.323  0.0471
H -1.353 4.895 -1.794  0.0339
O -0.679 4.871 -1.108  -0.0630
H 1.335 -3.275 0.032  0.0495
H 0.324 -2.739 -0.956  0.0312
O 0.667 -2.579 -0.061  -0.0713

The HOMO energy (alpha / beta) is -3.27 / -7.94 eV. The expectation value of S² is 0.753. Its spin multiplicity is 2. For the energy relative to the best compared isomer or geometry (same formula, charge and spin), the calculation gives 0.000 eV. The LUMO energy (alpha / beta) is 0.6 / 0.6 eV. The HOMO-LUMO gap (alpha / beta) comes out at 0.14388 / 0.31427 hartree.

***

Entry 2:
Formula: C17H35N2O12P2S2
Source: OMol25
Level of theory: ωB97M-V/def2-TZVPD

Each line ends with the Löwdin charge.
CARTESIAN COORDINATES (ANGSTROEM)
O 1.207 2.856 4.144  -0.4622
S -0.177 3.145 3.515  0.6291
O -0.922 4.085 4.541  -0.5051
N -1.207 1.752 3.308  -0.3804
S -0.369 0.391 2.609  0.6624
O 0.889 -0.076 3.429  -0.4342
O -1.371 -0.826 2.701  -0.4660
C 0.125 0.665 0.780  -0.2576
C -0.518 -0.421 -0.245  -0.0053
C -0.061 -0.247 -1.846  -0.0292
C 0.981 1.038 -2.028  -0.0634
C 1.476 2.043 -0.850  -0.0925
N 1.026 1.827 0.558  0.0107
*/

[Request]
It remains to find the line further above that holds "-1.230 -5.861", then quote that line and all lines after it there.

[Worked solution]
H -1.230 -5.861 0.521  0.0411
H -2.464 -6.455 -0.262  0.0232
O -1.556 -6.173 -0.339  -0.0655
H -1.246 4.961 -0.323  0.0471
H -1.353 4.895 -1.794  0.0339
O -0.679 4.871 -1.108  -0.0630
H 1.335 -3.275 0.032  0.0495
H 0.324 -2.739 -0.956  0.0312
O 0.667 -2.579 -0.061  -0.0713

The HOMO energy (alpha / beta) is -3.27 / -7.94 eV. The expectation value of S² is 0.753. Its spin multiplicity is 2. For the energy relative to the best compared isomer or geometry (same formula, charge and spin), the calculation gives 0.000 eV. The LUMO energy (alpha / beta) is 0.6 / 0.6 eV. The HOMO-LUMO gap (alpha / beta) comes out at 0.14388 / 0.31427 hartree.

***

Entry 2:
Formula: C17H35N2O12P2S2
Source: OMol25
Level of theory: ωB97M-V/def2-TZVPD

Each line ends with the Löwdin charge.
CARTESIAN COORDINATES (ANGSTROEM)
O 1.207 2.856 4.144  -0.4622
S -0.177 3.145 3.515  0.6291
O -0.922 4.085 4.541  -0.5051
N -1.207 1.752 3.308  -0.3804
S -0.369 0.391 2.609  0.6624
O 0.889 -0.076 3.429  -0.4342
O -1.371 -0.826 2.701  -0.4660
C 0.125 0.665 0.780  -0.2576
C -0.518 -0.421 -0.245  -0.0053
C -0.061 -0.247 -1.846  -0.0292
C 0.981 1.038 -2.028  -0.0634
C 1.476 2.043 -0.850  -0.0925
N 1.026 1.827 0.558  0.0107